04.05.2021 15:14
Article by Emanuel Giordano
Kata Pinan shodan, known in some Japanese styles as Heian nidan due to the reform of Funakoshi sensei, is a very widespread and practiced form. Taught both inside and outside the school environment by Itosu sensei and his pupils, it has undergone some transformations over time, which have fortunately been documented and handed down to us.
Chibana Choshin sensei represents Itosu's lineage outside the school Karate world, and his version of the Pinan shodan kata (available in the second volume of the Shorin-ryu Karate Encyclopedia is present today in the schools founded by his pupils. With the exception of the version of the Kyudokan school, which was probably modified by Higa Yuchoku sensei, the versions of the Shidokan, Shubukan, Shorinkan schools, etc., are practically the same.
Within the scholastic world, however, we find a real evolution of the form, which was also handed down by two of Itosu's most important students: Yabu Kentsu and Hanashiro Chomo. Since the latter did not teach at Shihan Chugakko, but at Okinawa Prefectural First Middle school (also known as Okinawa Prefectural Daii ichi Junior High school), he transmitted a simplified version of the kata, which however retained some elements of the older form.
As for the Shihan Chugakko, as I mentioned, it is possible to make a real reconstruction of the evolution of this kata, both thanks to the abundant presence of documents and thanks to the work done by other "colleagues". The masters we will examine are Funakoshi Gichin, Yabiku Motoku, Toyama Kanken and Miyagi Hisateru. Of Funakoshi we know that he learned the whole of the school kata thanks to the rapid course of one year, and not by attending the complete course that was held at the Shihan Chugakko starting from 1906 ( p = 1219); Yabiku studied from 1905 to 1910, thus having four out of five years available to study under the guidance of Itosu sensei and Yabu sensei; Toyama attended the course in the same years as Tokuda Anbun, that is from 1906 to 1911, thus having the opportunity to study five out of five years; the same goes for Miyagi, who, however, attended the institute much later, that is from 1911 to 1916. From this it can be easily deduced that all these masters actually studied little under the guidance of Itosu (and Yabu), in comparison with the students considered to be his heirs, in chronological order: Yabu, Hanashiro and Chibana. (Source: An Okinawan Living Legend: Choshin Chibana of Shorin-ryu Karate-do).
• Someone pasted quantum chemistry results at this point:
No. 1
The following is a DFT calculation (wB97M-V/def2-TZVPD) of a molecular structure, C4H4I2NO3 at a distorted geometry.

Geometry as XYZ:
```
14
Properties=species:S:1:pos:R:3:forces:R:3
C -0.765795 -2.079962 -0.416866 0.2316 2.8103 -0.1870
C -0.656175 0.636937 -0.780563 0.7440 -1.0003 0.8510
C 0.081385 -0.587572 -0.294242 -1.4032 -3.8936 -1.2314
C 0.591681 0.718247 1.506471 -2.4200 1.2124 -1.0479
N -0.122926 1.769477 -0.093266 1.5245 0.7370 2.0774
O -1.676646 -2.171563 0.361658 -1.9925 -0.0509 2.0930
O -0.397451 -2.811436 -1.298832 1.5389 -1.3951 -2.1441
O 0.120097 -0.445330 1.102199 1.3839 0.6044 0.5904
I 2.692811 0.977741 1.727206 -0.0244 -0.1011 0.1800
I 1.421436 2.695579 -1.142162 -0.3643 -0.1937 0.0854
H -0.574992 0.645239 -1.850736 -0.2983 0.3464 -0.5086
H -1.658836 0.577049 -0.376422 -0.6109 -0.2899 -0.3904
H 0.947086 -0.965066 -0.868175 0.5092 1.1471 0.8046
H -0.001675 1.040661 2.423730 1.1814 0.0669 -1.1724
```
Forces are in eV/Å.

Frontier orbital gap in eV: 6.8
HOMO energy in eV: -4.4
LUMO level in Eh: 0.0877
Net charge: -1

These are the Mulliken partial charges, in e, on atoms 1 to 4: number 1, C, carries 0.441; number 2, C, carries -0.552; number 3, C, carries 0.240; number 4, C, carries -0.290

No. 2
The following is a DFT calculation (wB97M-V/def2-TZVPD) of a molecular structure, C4H4LaLiO2 at a distorted geometry.

Geometry as XYZ:
```
12
Properties=species:S:1:pos:R:3:forces:R:3
O -1.434790 -1.766772 -0.356687 1.1923 -0.3032 -0.6192
C -0.736561 -2.591994 -0.821353 -1.5855 -0.2317 0.6974
C -0.124639 -3.656552 -1.272128 0.6762 0.3593 -0.0679
H -0.688677 -4.581011 -1.395978 0.1354 0.3725 0.0231
H 0.943340 -3.606303 -1.484561 -0.4045 -0.1203 -0.0121
H -0.890074 1.707505 0.744156 1.5689 0.3337 -0.3164
C 1.672507 0.572875 -0.253243 -0.7892 1.0405 0.6078
C 0.919483 1.445246 0.111330 1.8751 -2.7905 -0.7170
O 0.006798 2.164574 0.703979 -2.6343 1.1323 0.8341
Li 0.219011 3.853996 1.658782 0.0767 -0.2470 -0.1853
H 2.357454 -0.233516 -0.440722 -0.1101 0.4160 -0.2580
La -2.243851 6.691952 2.806425 -0.0011 0.0385 0.0135
```
Forces are in eV/Å.

Frontier orbital gap (spin up / spin down) in eV: 3.5 / 3.4
HOMO energy (spin up / spin down) in eV: -12.9 / -12.9
LUMO level (spin up / spin down) in Eh: -0.3427 / -0.3491
Net charge: +2

These are the Mulliken partial charges, in e, on atoms 1 to 4: number 1, O, carries -0.396; number 2, C, carries 0.756; number 3, C, carries -0.827; number 4, H, carries 0.258

No. 3
The following is a DFT calculation (wB97M-V/def2-TZVPD) of a molecular structure, C4H4LiO4 at a distorted geometry.

Geometry as XYZ:
```
13
Properties=species:S:1:pos:R:3:forces:R:3
Li 0.481723 1.808166 -1.149896 -0.0570 -0.5794 0.7767
O 0.161648 -0.496667 0.454879 0.9491 -0.7906 0.7813
O -0.957565 1.392930 -0.036444 0.3219 0.9729 -0.4909
C -0.962919 0.207727 0.327932 0.1854 -0.3565 0.3151
C -2.198142 -0.568001 0.607043 0.0844 -0.0599 0.0341
C -2.743122 -1.027814 -0.762522 0.0802 0.1624 -0.2962

Looking at the image attached to the article, we can start from what we can consider the photo of the older version, that of a group of students of Yabiku sensei. From what can be seen, although it is a group of probable beginners (the positions and techniques are not identical), the position adopted is what is now commonly known as shiko-dachi, although other terms are sometimes used. This can also be deduced from the fact that another version of an elderly student of Itosu sensei also uses this position, I am talking about the version of Hanashiro sensei, which as I said, although simplified, has retained some elements, including the position of the legs ( Other noteworthy elements of this version are: the use of the soto-uke for the advanced arm, the palm of the hand performing jodan-uke turned completely down, and the elbow totally raised. The position of the palm in jodan-uke is the same as that used also by Hanashiro, which allows us to hypothesize that it was the position adopted in one of the first versions of this kata.
The second version is that of Funakoshi. You immediately notice that some elements have changed, in particular the position of the legs (for more information: and that of the most advanced arm. This last modification is not found in any other version, and therefore characterizes the Karate of Funakoshi and his pupils. It could therefore be an experimental modification later abandoned, or a variation conceived by Funakoshi himself for unknown reasons. Another variation that is not reflected in other versions is the position of the palm of the hand that executes jodan-uke, totally rotated outwards. Compared to the version previously examined, the position of the elbow of the arm that performs jodan-uke remains unchanged. Funakoshi, of course, was much older than Yabiku, but having followed the rapid one-year course, it is likely that he learned this form in the same years, or shortly thereafter.
== The entry is interrupted by records of molecules ==
********
Molecular formula: C22H42BiNP3S2
Method: DFT, ωB97M-V/def2-TZVPD

Summary:
- HOMO level: -0.59425 Eh
- Relative energy (zero: lowest compared OMol25 entry of this formula, charge and spin): 137.5 kJ/mol
- Frontier orbital gap: 4.73 eV

ORCA input file:
```
! RIJCOSX wB97M-V def2-TZVPD def2/J DEFGRID3
* xyz 3 1
Bi 0.7020 -0.8989 -1.6088
P -0.3375 -0.2390 1.7916
P 3.0737 0.3747 0.5447
P -2.0407 -1.4819 -1.3308
H 2.9683 -3.2979 -4.2241
C 1.8889 -3.3663 -4.2263
C 1.4409 -2.2658 -5.1462
H 1.4583 -1.2519 -4.7032
C -0.4131 -1.7831 2.8017
C 0.4519 0.8042 3.0902
C -2.0502 0.3710 2.1221
C 4.5194 0.5130 -0.5914
C 3.3934 1.9283 1.4877
C 3.7845 -0.7615 1.8560
C -2.3849 -2.2697 -2.9346
C -3.3665 -0.2273 -1.2363
C -2.6433 -2.7381 -0.1604
H 1.6218 -4.3738 -4.6670
H 2.1664 -2.2852 -5.9768
H -0.8074 -1.5458 3.8023
H 0.6063 -2.1856 2.8921
H -1.0581 -2.5205 2.3048
H -0.1467 0.7082 4.0081
H 0.4435 1.8550 2.7730
H 1.4788 0.4789 3.2942
H -2.1391 0.5991 3.1949
H -2.8039 -0.3821 1.8594
H -2.2263 1.2925 1.5517
H 5.4629 0.6176 -0.0322
H 4.3626 1.4074 -1.2124
H 4.5519 -0.3750 -1.2408
H 4.2630 1.7865 2.1480
H 2.5109 2.1780 2.0915
H 3.5994 2.7381 0.7741
H 4.6785 -0.3190 2.3294
H 4.0595 -1.7471 1.4594
H 3.0067 -0.9236 2.6189
H -3.3953 -2.7018 -2.9308
H -1.6499 -3.0583 -3.1262
H -2.3027 -1.5347 -3.7436
H -4.3439 -0.7035 -1.4107
H -3.1983 0.5375 -2.0025
H -3.3834 0.2738 -0.2610
H -3.5796 -3.1710 -0.5346
H -2.8248 -2.3167 0.8328
H -1.9001 -3.5344 -0.0657
C 1.4857 -3.1955 -2.8161
C 0.8150 -4.2404 -2.1384
C 1.1070 -4.4648 -0.7808
C 2.0975 -3.7242 -0.1075
C 2.8787 -2.7741 -0.7677
C 2.4990 -2.3976 -2.1014
S -0.0514 -2.7520 -6.1975
H -0.2033 -1.4896 -6.4979
H 0.1670 -4.9745 -2.6455
H 0.5816 -5.2388 -0.2279
H 2.3037 -3.9109 0.9651
H 3.7467 -2.2520 -0.3782
H 3.1364 -1.6911 -2.6360
S 0.1294 2.0376 -1.9648
C -0.6802 2.8357 -0.7099
N 0.0822 3.3704 0.3142
C -0.4456 4.0682 1.3533
C -1.8155 4.2811 1.4166
C -2.6259 3.7479 0.3935
C -2.0555 3.0513 -0.6565
H 1.0971 3.2576 0.2458
H 0.2524 4.4765 2.0792
H -2.2447 4.8364 2.2440
H -3.7055 3.9104 0.4287
H -2.6394 2.7052 -1.5162
*
```

=====

Molecular formula: C4H9N2S2
Method: DFT, ωB97M-V/def2-TZVPD

Summary:
- HOMO level (alpha / beta): -0.43982 / -0.46300 Eh
- Relative energy (zero: lowest compared OMol25 entry of this formula, charge and spin): 263.3 kJ/mol
- Frontier orbital gap (alpha / beta): 6.01 / 7.20 eV

ORCA input file:
```
! RIJCOSX wB97M-V def2-TZVPD def2/J DEFGRID3
* xyz 1 1
C -0.6737 -1.0128 -1.4193
C 0.9544 -0.0013 0.0141
C 0.0591 1.4520 1.9518
C 1.2476 0.8784 1.1717
N -0.2462 -0.4108 -0.2657
N 0.2999 -1.4858 -2.2750
S -2.2642 -1.3316 -1.9971
S -3.9580 -0.7152 -1.2435
H 1.7693 -0.0789 -0.7710
H 0.3838 2.0318 2.8958
H -0.5139 0.7338 2.4851
H -0.6338 2.1171 1.3513
H 1.8027 0.4079 2.0129
H 1.7042 1.6779 0.6015
H -1.0261 -0.3417 0.5204
H 1.0897 -2.0521 -1.8374
H 0.0052 -1.8686 -3.1957
*
```

=====

Molecular formula: C39H67Br2N5O7
Method: DFT, ωB97M-V/def2-TZVPD

Summary:
- HOMO level: -0.33102 Eh
- Frontier orbital gap: 8.76 eV
********
The third version we will examine is that of Toyama, who was a year younger than Yabiku. In this version, compared to the first, the position is changed to ukiashi-dachi / nekoashi-dachi, the position of the elbow of the arm performing jodan-uke is lowered (closing the armpit more), but the position of the palm of the raised arm is the same, although with at an apparently less pronounced angle.
The latest version is that of Miyagi, who attended the teaching institute 6 years after Yabiku and 5 after Toyama. The position of the body is almost identical to the previous one, except for the fact that the palm of the hand performing the jodan-uke is oriented slightly outwards. In this, however, it differs from the Funakoshi version, where this rotation is total.
Hanashiro's version, as I have already said, was instead taught to younger practitioners, who attended another school. Consequently, at some point, Itosu decided to simplify it, eliminating the open hand techniques and replacing them with closed hand techniques ( In conclusion, I would also like to point out that, as can be seen from the reconstruction made, while Hanashiro continued to teach an old version of the kata (with the exception of the aforementioned modification made in recent years by Itosu), Yabu continued to modify the kata over the years. However, although thanks to Miyagi's testimony reported in Karate-do (also confirmed by the aforementioned Chibana article) we know that it was Yabu who carried out the teachings, while Itosu merely made some corrections from time to time, it cannot be established with certainty whether these changes came from one or the other. The trend of recent years has led to think that Yabu was very conservative and that he did not love the Pinan too much, but the collected documents show instead that he made several changes in various kata, also changing positions and techniques. The famous phrase attributed to him, reported by Gima in 1986: "If you have time to practice the Pinan, practice Kushanku instead", if it is true, could easily refer to the latest version of the scholastic Kusanku, kata that as we have seen in the previous article (see: was taught precisely at Shihan Chugakko by Yabu, but not by his successor Tokuda.